Bronze Age bridges at Eton

Bronze Age bridges at Eton
Excavations were done when Eton College wanted to build a rowing lake north of
the River Thames in the parish of Dorney in South Buckinghamshire. It was
known that there were some sites in the area from aerial photographs, so
archaeologists had to go in and do some work.
Three sets of small-scale trenches were dug in 1987, 1990 and 1994. There
were three seasons of large-scale excavations in 1995, 1996 and 1997 and
another in 2000. Lots of archaeology was found, dating from the Mesolithic (9000
– 4000 BC) to the medieval period (1066-1539 AD). Because the sites were
close to the River Thames, some of the archaeology was waterlogged. This
meant that organic materials, such as wood, were well preserved.
The most important wooden finds from the site are the remains of a series of
bridges that date to the Middle and Late Bronze Age and also the Iron Age. The
bridges connect areas for grazing animals with settlement. At least six bridges
were built between 1400 and 300 BC. The bridges crossed some earlier
channels of the River Thames, which silted up by the Roman period. The bridges
were repaired during their use and only replaced when they were too unstable to
support humans, goods and animals. The construction was similar for all the
bridges. Two parallel lines of oak posts were hammered into the riverbed and
banks. The upright posts were connected by planks with holes at either end. The
planks formed a base for planks laid between the two rows of uprights to form the
The first bridge excavated in 1995 was made up of two rows of large oak posts at
the west end (numbered 3483) and two rows of smaller, paired posts further to
the east (numbered 3484). The pairs of posts were about 3m apart and there
was a gap of 2m between the rows for people and animals to walk down. A
wattle panel, the surface of the bridge walkway, lay horizontally between the
rows of posts. Pottery and human bone were found close to the bridge in the silt
of the former river channel. The larger posts were radiocarbon dated. They dated
to between 1520 and 1220 BC, the Middle Bronze Age. The smaller posts were
later and dated to 770-390 BC, the Early Iron Age. In the 1996 excavations,
several more large timbers were found on what was the riverbed. It was thought
that the Middle Bronze Age bridge probably had gone right across the river but
had collapsed and was later rebuilt.
Bronze Age bridges at Eton
The second timber structure was found further to the north-west in 1996. This
was just a jetty or footbridge, as it was made of thinner stakes than the first
structure. The stake rows were set only 1m apart, with 2m between the stakes. It
was 10-15m long. Later on larger posts were driven into the channel and withies
had been woven around them. There was also part of a wattle panel, possibly
used between uprights, nearby. Part of a wooden plough, probably dating to the
_Materials data that have nothing to do with the article_
The following is a DFT calculation (PBE+U) of a relaxed structure of MnV3O.

abc: 4.077 4.077 4.077
angles: 90.00 90.00 90.00
Fractional positions:
Mn 0.000 0.000 0.000
V 0.000 0.500 0.500
V 0.500 0.000 0.500
V 0.500 0.500 0.000
O 0.500 0.500 0.500

Values from the calculation:
The offset from the most stable computed form comes out at 0.00 eV/f.u. The spin magnetization comes out at 7.127 μB/f.u. The calculation puts the uncorrected energy at -6.502 eV/atom.

=====

A plane-wave DFT calculation with PBE-GGA was carried out for a geometry-optimized LiPr2Au structure.

Unit cell a=4.487 b=4.487 c=19.258 alpha=90.00 beta=90.00 gamma=120.00
Sites, in units of the cell vectors:
Li 0.000 0.000 0.000
Li 0.333 0.667 0.667
Li 0.667 0.333 0.333
Pr 0.000 0.000 0.573
Pr 0.000 0.000 0.766
Pr 0.333 0.667 0.240
Pr 0.333 0.667 0.432
Pr 0.667 0.333 0.099
Pr 0.667 0.333 0.906
Au 0.000 0.000 0.340
Au 0.333 0.667 0.006
Au 0.667 0.333 0.673

## Properties
- space-group type = R3m
- ΔE_f (eV per atom) = -0.2835
- electronic total energy (eV per atom) = -3.97
_End of the materials data_
Early Iron Age, 700-400BC, was found nearby.
Four more bridges were found to the north-west of the bridge found in 1995,
slightly upstream. Two of the bridges (numbers 7204 and 7205) were simple
constructions of two lines of single posts. There were a few paired posts and it
seemed as if the second post had probably been put in later as a repair. Some of
the posts of bridge 7204 were forked at the top where a branch had come off the
main timber. This would have acted as a support for a handrail. Some timbers
from bridge 7205 on the east bank of the channel had been taken out when the
bridge was no longer in use and probably reused somewhere else. There were
lost of pieces of Middle Iron Age pottery around bridge 7205, as well as part of a
human burial and some animal bones.
Bridge 7202 was a simple bridge made of two lines of single posts. Bridge 7201
was the most westerly bridge before the jetty described above. It had double
posts all the way along its line, similar to bridge 3484. Early Iron Age pottery was
also found next to one of the posts of this bridge. A trackway was built at a later
date between the upright posts of bridge 7201. Large horizontal timbers were laid
between the uprights and wattle hurdles or fencing was laid flat on top of them. It
was built when the channel had mainly silted up and was therefore probably a
ford across a shallow river.
The wood was preserved because it was found in waterlogged conditions, which
are anaerobic. Anaerobic means there is no oxygen, which the bacteria that
make wood and other organics materials decay cannot live without. The bridges
are therefore very significant because very few of this date have been found and
don’t normally survive. The bridges seem to have been built across this channel
to link the north bank of the river to the island of gravel between this ancient
channel and the modern course of the Thames. Middle Bronze Age human and
animal burials and Late Bronze Age to Middle Iron Age settlements have been
found on the gravel island, suggesting it was an important site.